# Exercise
Next, filter the data further below: keep the lines with the word "Ta".

# Data
Record 1
28
Lattice="-5.227 -5.667 -0.783 -3.381 6.214 3.161 2.846 1.869 -6.961" Properties=species:S:1:pos:R:3 comment="Li3BiO3 (GGA-PBE, relaxed)" total_magnetization_mub_per_cell=0.00 space_group=I-43m density_g_cm3=5.15 volume_a3_per_atom=12.792 crystal_system=cubic pbc="T T T"
Li -5.266 -1.129 0.911
Li -2.379 -3.143 -3.781
Li -4.108 -1.920 -1.703
Li -3.924 0.750 -0.423
Li -2.103 -0.521 -3.383
Li -4.815 1.771 1.874
Li -0.409 -1.304 -5.288
Li -0.366 1.573 -4.566
Li -3.252 3.587 0.125
Li -1.563 2.953 -2.230
Li -1.074 5.263 -0.989
Li 0.447 4.203 -3.460
Bi -1.471 -1.595 -0.220
Bi -0.952 1.749 0.890
Bi 0.801 0.526 -1.959
Bi -4.140 1.736 -3.293
O -3.446 -1.318 0.381
O -1.922 -2.381 -2.096
O -2.665 -1.276 -5.039
O -5.773 0.893 0.012
O -2.973 1.727 1.392
O 0.147 -0.450 -3.679
O -4.155 -0.180 -2.479
O -0.998 3.570 -0.119
O 0.598 2.457 -2.714
O -3.703 2.727 -1.513
O -2.179 1.663 -3.990
O -1.744 4.653 -3.070

Record 2
117
Lattice="8.936 0.009 -0.024 -4.461 7.729 0.007 -0.062 -0.015 22.405" Properties=species:S:1:pos:R:3 comment="Na5Ta2Ti2Si5PO24 (GGA-PBE, relaxed)" total_magnetization_mub_per_cell=0.00 space_group=P1 density_g_cm3=3.63 volume_a3_per_atom=13.234 crystal_system=triclinic pbc="T T T"
Na 5.659 0.058 5.561
Na 1.655 2.787 5.571
Na 6.052 4.881 5.558
Na 7.260 2.810 16.785
Na -2.830 5.390 12.996
Na 1.564 7.437 12.988
Na 5.596 5.147 20.560
Na 6.059 0.269 20.550
Na 1.582 2.290 20.592
Na -0.002 0.054 11.024
Na 0.011 0.006 0.042
Na 4.367 2.552 18.672
Na 4.467 2.567 7.462
Na 0.008 5.146 3.579
Na 0.042 5.127 14.839
Ta -0.032 0.008 14.444
Ta 0.019 0.007 3.221
Ta 4.396 2.576 15.397
Ta 4.460 2.569 10.667
Ta -0.039 5.159 7.044
Ta -0.058 5.197 18.182
Ti 4.428 7.678 7.918
Ti -0.011 0.025 19.071
Ti 4.446 2.630 4.119
Ti 4.408 2.545 22.043
Ti -0.096 5.083 0.508
Ti -0.020 5.159 11.603
Si 2.545 0.023 5.629
Si 3.182 5.509 5.583
Si 7.629 2.201 5.599
Si 1.279 2.222 16.828
Si 5.692 5.512 16.813
Si 1.866 7.699 16.807
Si 7.045 2.608 13.044
Si 3.135 0.344 13.024
Si 3.091 4.781 13.027
Si 5.752 4.806 1.838
Si 1.880 2.619 1.840
Si -1.361 2.887 20.555
Si -1.347 7.386 20.598
Si 1.320 7.390 9.355
Si -2.631 5.190 9.369
P 5.733 0.331 1.860
P 2.511 5.150 20.563
P 1.242 2.907 9.355
O 1.571 0.297 6.886
O 3.916 6.189 6.866
O 7.875 1.226 6.867
O 0.976 1.311 18.164
O 5.057 6.212 18.140
O 7.271 0.249 18.114
O 2.787 7.502 15.467
O 0.527 1.510 15.555
O -3.491 6.405 15.499
O 3.394 6.501 4.300
O -0.561 1.528 4.319
O -2.869 7.424 4.328
O 6.100 2.833 14.383
O 3.855 1.056 14.327
O 3.433 3.860 14.348
O 5.463 3.891 3.178
O 5.140 1.017 3.122
O 2.840 2.772 3.175
O 2.844 2.370 0.517
O 5.114 4.075 0.506
O 5.482 1.224 0.590
O 3.414 1.315 11.750
O 3.887 4.101 11.776
O 6.027 2.295 11.789
O 1.609 5.412 21.765
O -0.601 3.620 21.804
O -1.064 6.364 21.823
O 0.979 6.471 10.667
O 0.639 3.643 10.561
O -1.656 5.339 10.674
O -1.665 4.932 8.032
O 0.643 6.659 8.022
O 1.001 3.784 8.059
O -1.083 3.842 19.231
O -0.620 6.675 19.281
O 1.606 4.905 19.299
O -3.523 6.526 9.206
O 2.919 7.549 9.189
O 0.608 1.534 9.215
O -0.677 1.399 20.431
O -2.975 7.511 20.434
O 3.420 6.399 20.390
O 7.901 1.215 13.178
O 1.519 0.140 13.203
O 3.818 6.262 13.204
O 5.038 6.277 1.972
O 7.285 0.241 1.976
O 0.943 1.270 1.993
O 5.439 1.339 16.657
O 2.885 2.364 16.680
O 5.101 3.992 16.683
O 3.841 4.013 5.439
O 6.016 2.395 5.432
O 3.542 1.298 5.434
O 3.405 3.878 20.635
O 5.950 2.760 20.656
O 3.796 1.145 20.666
O 5.022 1.120 9.446
O 2.795 2.820 9.468
O 5.385 3.840 9.459
O 0.977 3.960 1.690
O -1.562 4.952 1.720
O 0.645 6.681 1.704
O -0.647 6.597 12.934
O 1.504 5.021 12.931
O -1.004 3.931 12.927
O -0.968 6.391 5.753
O 1.551 5.322 5.753
O -0.609 3.688 5.756
O 0.529 3.667 16.982
O -1.610 5.302 16.967
O 0.928 6.376 16.954

Record 3
12
Lattice="-0.412 3.717 1.198 1.960 -4.009 6.677 10.076 1.735 -1.917" Properties=species:S:1:pos:R:3 comment="CsTmCoS3 (GGA-PBE, relaxed)" space_group=Cmcm density_g_cm3=4.77 volume_a3_per_atom=26.511 crystal_system=orthorhombic pbc="T T T"
Cs 8.185 2.137 2.621
Cs 3.439 -0.694 3.337

# Worked solution
Ta -0.032 0.008 14.444
Ta 0.019 0.007 3.221
Ta 4.396 2.576 15.397
Ta 4.460 2.569 10.667
Ta -0.039 5.159 7.044
Ta -0.058 5.197 18.182